1.
The following is a DFT calculation (GGA-PBE) of NaI3O8 after structural relaxation. Values from VASP.

```
&SYSTEM
  ibrav = 0, nat = 24, ntyp = 3
/
ATOMIC_SPECIES
I 126.90 I.upf
O 16.00 O.upf
Na 22.99 Na.upf
CELL_PARAMETERS angstrom
-6.107 -4.938 -2.397
-2.102 -1.208 7.845
-3.663 4.658 -0.264
ATOMIC_POSITIONS crystal
I 0.727 0.750 0.115
I 0.750 0.273 0.885
I 0.273 0.250 0.115
I 0.250 0.727 0.885
I 0.500 0.000 0.613
I 0.000 0.500 0.387
O 0.727 0.490 0.842
O 0.765 0.591 0.357
O 0.409 0.765 0.643
O 0.946 0.331 0.196
O 0.669 0.946 0.804
O 0.331 0.054 0.804
O 0.766 0.930 0.284
O 0.235 0.409 0.357
O 0.070 0.766 0.716
O 0.273 0.510 0.842
O 0.490 0.273 0.158
O 0.054 0.669 0.196
O 0.591 0.235 0.643
O 0.930 0.234 0.716
O 0.510 0.727 0.158
O 0.234 0.070 0.284
Na 0.000 0.000 0.500
Na 0.500 0.500 0.500
```

density: 4.41 Mg/m³
VASP energy: -104.40 eV/cell
energy of formation: -1179 kJ/mol of formula units
space-group type: No. 81


2.
The following is a DFT calculation (GGA-PBE) of V3Rh5 after structural relaxation. Values from VASP.

```
&SYSTEM
  ibrav = 0, nat = 8, ntyp = 2
/
ATOMIC_SPECIES
Rh 102.91 Rh.upf
V 50.94 V.upf
CELL_PARAMETERS angstrom
2.723 -4.682 0.000
2.723 4.682 0.000
0.000 0.000 4.327
ATOMIC_POSITIONS crystal
Rh 0.411 0.089 0.000
Rh 0.090 0.409 0.500
Rh 0.911 0.589 0.000
Rh 0.417 0.583 0.000
Rh 0.591 0.910 0.500
V 0.911 0.089 0.000
V 0.582 0.418 0.500
V 0.086 0.914 0.500
```

density: 10.05 Mg/m³
VASP energy: -66.95 eV/cell
energy of formation: -278 kJ/mol of formula units
space-group type: No. 38


3.
The following is a DFT calculation (GGA-PBE) of Tm2SeO2 after structural relaxation. Values from VASP.

```
&SYSTEM
  ibrav = 0, nat = 5, ntyp = 3
/
ATOMIC_SPECIES
Se 78.96 Se.upf
Tm 168.93 Tm.upf
O 16.00 O.upf
CELL_PARAMETERS angstrom
1.892 -3.277 0.000
1.892 3.277 0.000
0.000 0.000 6.754
ATOMIC_POSITIONS crystal
Se 0.000 0.000 0.500
Tm 0.667 0.333 0.208
Tm 0.333 0.667 0.792
O 0.333 0.667 0.126
O 0.667 0.333 0.874
```

density: 8.90 Mg/m³
VASP energy: -38.10 eV/cell
energy of formation: -1653 kJ/mol of formula units
space-group type: No. 164


4.
The following is a DFT calculation (GGA-PBE) of CaFe2S4 after structural relaxation. Values from VASP.

```
&SYSTEM
  ibrav = 0, nat = 14, ntyp = 3
/
ATOMIC_SPECIES
S 32.06 S.upf
Fe 55.84 Fe.upf
Ca 40.08 Ca.upf
CELL_PARAMETERS angstrom
-3.424 3.630 4.944
3.424 -3.630 4.944
3.424 3.630 -4.944
ATOMIC_POSITIONS crystal
S 0.693 0.728 0.965
S 0.737 0.272 0.465
S 0.307 0.272 0.035
S 0.737 0.278 0.042
S 0.737 0.695 0.458
S 0.263 0.728 0.535
S 0.263 0.305 0.542
S 0.263 0.722 0.958
Fe 0.500 0.000 0.000
Fe 0.500 0.500 0.500
Fe 0.000 0.500 0.500
Fe 0.500 0.500 0.000
Ca 0.000 0.000 0.000
Ca 0.500 0.000 0.500
```

density: 3.78 Mg/m³
polymorph energy (0 for the lowest one): 0 meV per atom
total magnetic moment: 1.998 μB/f.u.
VASP energy: -80.99 eV/cell
energy of formation: -677 kJ/mol of formula units
space-group type: No. 74


5.
The following is a DFT calculation (GGA-PBE) of Li2SeO7 after structural relaxation. Values from VASP.

```
&SYSTEM
  ibrav = 0, nat = 40, ntyp = 3
/
ATOMIC_SPECIES
Li 6.94 Li.upf
O 16.00 O.upf
Se 78.96 Se.upf
CELL_PARAMETERS angstrom
-6.712 0.000 0.000
0.000 0.000 -6.666
0.000 -12.391 0.000
ATOMIC_POSITIONS crystal
Li 0.509 0.831 0.889
Li 0.491 0.331 0.389
Li 0.009 0.331 0.611
Li 0.009 0.169 0.889
Li 0.991 0.669 0.389
Li 0.509 0.669 0.611
Li 0.491 0.169 0.111
Li 0.991 0.831 0.111
O 0.765 0.036 0.097
O 0.135 0.912 0.309
O 0.865 0.412 0.809
O 0.865 0.088 0.691
O 0.842 0.867 0.498
O 0.365 0.588 0.809
O 0.635 0.088 0.309
O 0.342 0.367 0.002
O 0.135 0.588 0.191
O 0.250 0.838 0.000
O 0.750 0.338 0.500
O 0.658 0.633 0.998
O 0.635 0.412 0.191
O 0.735 0.036 0.903
O 0.158 0.133 0.502
O 0.658 0.867 0.502
O 0.158 0.367 0.998
O 0.750 0.162 0.000
O 0.735 0.464 0.597
O 0.765 0.464 0.403
O 0.235 0.536 0.597
O 0.265 0.536 0.403
O 0.265 0.964 0.097
O 0.365 0.912 0.691
O 0.235 0.964 0.903
O 0.842 0.633 0.002
O 0.250 0.662 0.500
O 0.342 0.133 0.498
Se 0.709 0.250 0.750

What is needed: say how many lines of the data above hold the word "lowest", as a bare number.

1